'''
# 1
{"formula": "C5H7P", "method": "the ωB97M-V functional and the def2-TZVPD basis", "de_lowest_kcal_mol": 44.8, "charge": 0, "gap_ev": 8.61, "lumo_ev": 0.16, "e_tot_ev": -14583.756, "symbols": ["H", "P", "C", "C", "C", "C", "C", "H", "H", "H", "H", "H", "H"], "positions_angstrom": [[-0.250893, 3.165093, -0.082581], [-1.000622, 2.029693, -0.242613], [0.216454, 1.132596, -0.959556], [-0.028823, -0.186610, -1.384744], [-0.448441, -1.193687, -0.650513], [-0.669448, -1.078285, 0.838822], [0.282600, -0.499972, 1.581789], [1.197642, 1.331368, -1.000220], [0.187559, -0.179567, -2.427442], [-0.582455, -2.123404, -1.139569], [-1.616015, -1.493993, 1.345379], [1.138698, -0.099177, 1.178923], [0.135993, -0.476675, 2.602368]], "forces_ev_per_angstrom": [[0.6089, 1.0441, 0.3428], [-0.1182, -0.5603, -0.8060], [-3.4823, 0.9836, 1.9493], [-0.2964, -0.3783, -0.5806], [-0.6234, -0.0655, 1.2109], [-0.0967, -0.4612, 0.0449], [-2.5710, -1.7158, -0.8357], [3.4848, 1.7008, -0.3682], [0.0401, -1.2412, -0.9896], [-0.3064, -0.9460, -0.1868], [1.6105, 0.5903, -1.0614], [1.8287, 0.7425, -0.8473], [-0.0785, 0.3069, 2.1275]], "lowdin_charge": [-0.174, 0.876, -0.537, -0.261, -0.114, -0.176, -0.017, 0.022, 0.102, 0.086, 0.124, 0.038, 0.033]}


# 2
'''

Quote the contents further above word for word.

# 1
{"formula": "C5H7P", "method": "the ωB97M-V functional and the def2-TZVPD basis", "de_lowest_kcal_mol": 44.8, "charge": 0, "gap_ev": 8.61, "lumo_ev": 0.16, "e_tot_ev": -14583.756, "symbols": ["H", "P", "C", "C", "C", "C", "C", "H", "H", "H", "H", "H", "H"], "positions_angstrom": [[-0.250893, 3.165093, -0.082581], [-1.000622, 2.029693, -0.242613], [0.216454, 1.132596, -0.959556], [-0.028823, -0.186610, -1.384744], [-0.448441, -1.193687, -0.650513], [-0.669448, -1.078285, 0.838822], [0.282600, -0.499972, 1.581789], [1.197642, 1.331368, -1.000220], [0.187559, -0.179567, -2.427442], [-0.582455, -2.123404, -1.139569], [-1.616015, -1.493993, 1.345379], [1.138698, -0.099177, 1.178923], [0.135993, -0.476675, 2.602368]], "forces_ev_per_angstrom": [[0.6089, 1.0441, 0.3428], [-0.1182, -0.5603, -0.8060], [-3.4823, 0.9836, 1.9493], [-0.2964, -0.3783, -0.5806], [-0.6234, -0.0655, 1.2109], [-0.0967, -0.4612, 0.0449], [-2.5710, -1.7158, -0.8357], [3.4848, 1.7008, -0.3682], [0.0401, -1.2412, -0.9896], [-0.3064, -0.9460, -0.1868], [1.6105, 0.5903, -1.0614], [1.8287, 0.7425, -0.8473], [-0.0785, 0.3069, 2.1275]], "lowdin_charge": [-0.174, 0.876, -0.537, -0.261, -0.114, -0.176, -0.017, 0.022, 0.102, 0.086, 0.124, 0.038, 0.033]}


# 2